### Material
┌──
DFT (ωB97M-V/def2-TZVPD) results for the molecule C31H40ClF7INO3.

The geometry in XYZ format:
```
84
Properties=species:S:1:pos:R:3:mulliken_charge:R:1
C 4.00 3.97 0.33 -1.164
C 4.70 3.05 -0.65 -0.741
C 3.74 2.12 -1.41 -0.144
Cl 4.59 0.67 -2.03 -0.218
C 2.47 1.73 -0.69 0.472
C 1.22 2.28 -1.12 0.653
C 1.18 3.20 -2.32 -2.031
C 1.18 2.39 -3.65 -0.609
C 0.10 2.89 -4.59 -1.192
I -0.30 1.49 -6.16 0.013
C 0.01 1.91 -0.48 0.178
C -1.37 2.36 -0.93 0.226
C -2.33 2.68 0.22 -1.697
C -3.51 1.69 0.40 0.199
C -4.23 1.28 -0.89 -0.849
C -3.88 -0.15 -1.33 0.431
C -4.95 -0.79 -2.24 -1.117
C -5.79 -1.86 -1.55 -0.594
C -5.08 -3.20 -1.33 -0.792
C -4.14 -3.32 -0.12 -0.642
C -4.71 -2.85 1.20 -0.443
O -3.64 -2.83 2.16 -0.332
C -3.76 -1.80 3.11 -0.657
C 0.04 0.99 0.59 -0.893
C 1.26 0.46 1.00 0.304
C 2.46 0.82 0.39 0.093
C 3.67 0.21 1.01 -0.132
O 4.68 0.81 1.22 -0.567
C 3.48 -1.21 1.46 -0.055
C 4.67 -2.13 1.30 0.833
F 5.48 -1.65 0.33 -0.333
F 4.29 -3.37 0.92 -0.286
C 5.55 -2.25 2.57 0.621
F 5.66 -1.05 3.14 -0.258
F 4.97 -3.09 3.45 -0.318
C 7.00 -2.78 2.29 0.663
F 7.49 -3.30 3.41 -0.264
F 6.99 -3.72 1.37 -0.250
F 7.79 -1.80 1.91 -0.235
C 2.31 -1.60 2.00 1.114
C 1.99 -3.01 2.46 -0.995
N 0.74 -3.26 3.15 -0.610
C 1.28 -0.52 2.11 -0.572
O 0.52 -0.44 3.04 -0.558
H 3.62 3.43 1.19 0.262
H 3.17 4.50 -0.14 0.250
H 4.69 4.73 0.69 0.435
H 5.50 2.49 -0.18 0.379
H 5.17 3.68 -1.41 0.504
H 3.47 2.63 -2.32 0.354
H 0.33 3.87 -2.29 0.776
H 2.05 3.85 -2.28 0.748
H 2.17 2.44 -4.11 0.461
H 1.00 1.35 -3.41 0.556
H 0.37 3.83 -5.04 0.470
H -0.83 3.00 -4.05 0.404
H -1.30 3.24 -1.56 -0.130
H -1.75 1.57 -1.57 0.192
H -1.80 2.70 1.17 0.608
H -2.74 3.68 0.10 0.417
H -4.23 2.18 1.05 0.420
H -3.15 0.82 0.95 -0.555
H -5.31 1.37 -0.78 0.521
H -3.92 1.94 -1.70 0.354
H -2.92 -0.17 -1.84 0.310
H -3.78 -0.76 -0.43 -0.312
H -4.47 -1.25 -3.11 0.407
H -5.62 -0.02 -2.62 0.475
H -6.21 -1.45 -0.64 0.210
H -6.64 -2.07 -2.20 0.387
H -5.81 -4.00 -1.28 0.384
H -4.47 -3.40 -2.21 0.339
H -3.21 -2.79 -0.31 0.273
H -3.85 -4.36 0.01 0.459
H -5.15 -1.86 1.15 0.361
H -5.44 -3.58 1.56 0.297
H -4.79 -1.67 3.46 0.405
H -3.15 -2.04 3.98 0.285
H -3.41 -0.84 2.72 0.124
H -0.87 0.69 1.08 0.680
H 2.79 -3.41 3.07 0.332
H 1.98 -3.62 1.55 0.364
H 0.75 -2.82 4.06 0.304
H -0.06 -2.88 2.66 0.239
```

LUMO level = -1.02 eV
SMILES = CC[C@@H](Cl)c1c(CCCI)c(CCCCCCCCCCOC)cc2c1C(=O)C(C(F)(F)C(F)(F)C(F)(F)F)=C(CN)C2=O
Energy relative to the best compared isomer or geometry (same formula, charge and spin) = 32.7 kJ/mol
Net charge = 0

~~~~~

P:
{"formula": "C3H7N4", "method": "wB97M-V/def2-TZVPD", "smiles": "N#CC[NH+]=C(N)N", "gap_ev": 12.3, "charge": 1, "molar_mass_g_mol": 99.117, "homo_ev": -15.85, "symbols": ["N", "C", "C", "N", "C", "N", "N", "H", "H", "H", "H", "H", "H", "H"], "positions_angstrom": [[2.792, -0.781, 0.724], [2.238, 0.070, 0.217], [1.382, 1.139, -0.329], [-0.207, 0.890, 0.078], [-0.932, -0.245, 0.022], [-2.067, -0.420, 0.653], [-0.401, -1.343, -0.532], [1.801, 2.096, 0.084], [1.467, 1.244, -1.400], [-0.518, 1.575, 0.787], [-2.555, -1.291, 0.439], [-2.511, 0.441, 0.851], [-1.053, -1.998, -0.816], [0.565, -1.377, -0.777]], "mulliken_charge": [-0.244, 0.226, -0.478, -0.281, 0.710, -0.364, -0.300, 0.343, 0.280, 0.263, 0.240, 0.243, 0.213, 0.151]}

---

Q:
{"formula": "C3H7N4", "method": "wB97M-V/def2-TZVPD", "gap_ev": [8.2, 8.2], "charge": 1, "molar_mass_g_mol": 99.117, "homo_ev": [-13.71, -13.71], "symbols": ["C", "C", "C", "N", "N", "N", "N", "H", "H", "H", "H", "H", "H", "H"], "positions_angstrom": [[0.245, -0.086, 0.046], [1.364, -2.123, 0.284], [-1.005, 0.353, -0.417], [3.362, 0.263, -0.001], [4.359, 0.482, -0.401], [0.807, -1.193, -0.454], [0.865, 0.542, 1.030], [1.889, -1.539, 1.211], [-1.066, 1.491, -0.581], [-1.533, -0.029, -1.260], [-1.843, 0.285, 0.272], [0.406, -1.495, -1.335], [0.498, 1.390, 1.441], [1.715, 0.219, 1.419]], "mulliken_charge": [0.845, -0.228, -1.292, 0.294, -0.344, -0.052, -0.230, 0.206, 0.335, 0.382, 0.367, 0.253, 0.265, 0.200]}

---
└──

### What to do
Echo only the last part of the data further up, starting with the line that has "-2.92 -0.17".

### Completed
H -2.92 -0.17 -1.84 0.310
H -3.78 -0.76 -0.43 -0.312
H -4.47 -1.25 -3.11 0.407
H -5.62 -0.02 -2.62 0.475
H -6.21 -1.45 -0.64 0.210
H -6.64 -2.07 -2.20 0.387
H -5.81 -4.00 -1.28 0.384
H -4.47 -3.40 -2.21 0.339
H -3.21 -2.79 -0.31 0.273
H -3.85 -4.36 0.01 0.459
H -5.15 -1.86 1.15 0.361
H -5.44 -3.58 1.56 0.297
H -4.79 -1.67 3.46 0.405
H -3.15 -2.04 3.98 0.285
H -3.41 -0.84 2.72 0.124
H -0.87 0.69 1.08 0.680
H 2.79 -3.41 3.07 0.332
H 1.98 -3.62 1.55 0.364
H 0.75 -2.82 4.06 0.304
H -0.06 -2.88 2.66 0.239
```

LUMO level = -1.02 eV
SMILES = CC[C@@H](Cl)c1c(CCCI)c(CCCCCCCCCCOC)cc2c1C(=O)C(C(F)(F)C(F)(F)C(F)(F)F)=C(CN)C2=O
Energy relative to the best compared isomer or geometry (same formula, charge and spin) = 32.7 kJ/mol
Net charge = 0

~~~~~

P:
{"formula": "C3H7N4", "method": "wB97M-V/def2-TZVPD", "smiles": "N#CC[NH+]=C(N)N", "gap_ev": 12.3, "charge": 1, "molar_mass_g_mol": 99.117, "homo_ev": -15.85, "symbols": ["N", "C", "C", "N", "C", "N", "N", "H", "H", "H", "H", "H", "H", "H"], "positions_angstrom": [[2.792, -0.781, 0.724], [2.238, 0.070, 0.217], [1.382, 1.139, -0.329], [-0.207, 0.890, 0.078], [-0.932, -0.245, 0.022], [-2.067, -0.420, 0.653], [-0.401, -1.343, -0.532], [1.801, 2.096, 0.084], [1.467, 1.244, -1.400], [-0.518, 1.575, 0.787], [-2.555, -1.291, 0.439], [-2.511, 0.441, 0.851], [-1.053, -1.998, -0.816], [0.565, -1.377, -0.777]], "mulliken_charge": [-0.244, 0.226, -0.478, -0.281, 0.710, -0.364, -0.300, 0.343, 0.280, 0.263, 0.240, 0.243, 0.213, 0.151]}

---

Q:
{"formula": "C3H7N4", "method": "wB97M-V/def2-TZVPD", "gap_ev": [8.2, 8.2], "charge": 1, "molar_mass_g_mol": 99.117, "homo_ev": [-13.71, -13.71], "symbols": ["C", "C", "C", "N", "N", "N", "N", "H", "H", "H", "H", "H", "H", "H"], "positions_angstrom": [[0.245, -0.086, 0.046], [1.364, -2.123, 0.284], [-1.005, 0.353, -0.417], [3.362, 0.263, -0.001], [4.359, 0.482, -0.401], [0.807, -1.193, -0.454], [0.865, 0.542, 1.030], [1.889, -1.539, 1.211], [-1.066, 1.491, -0.581], [-1.533, -0.029, -1.260], [-1.843, 0.285, 0.272], [0.406, -1.495, -1.335], [0.498, 1.390, 1.441], [1.715, 0.219, 1.419]], "mulliken_charge": [0.845, -0.228, -1.292, 0.294, -0.344, -0.052, -0.230, 0.206, 0.335, 0.382, 0.367, 0.253, 0.265, 0.200]}

---